Yorba Linda Chapter of National Charity League Hosts Fashion Show to Benefit Crittenton
January 25, 2016
Beckie Flat – The Yorba Linda Chapter of National Charity League Media Liaison
Phone: 714-779-8104
Yorba Linda Chapter of National Charity League Hosts a Fashion Show
All Proceeds Help Fund Youth and Mental Health Treatment Services at Crittenton
Anaheim, Calif. – The National Charity League, Inc., Yorba Linda Chapter, is hosting its 21st Annual Fashion Show and Silent Auction on Sunday, February 21 at the Hilton Anaheim, located at 777 W. Convention Way, to benefit the non-profit Crittenton Services for Children and Families.
The Class of 2017, teens currently in their junior year at Esperanza High School, Yorba Linda High School, El Dorado High School, Orange Lutheran High School, Rosary High School, Santa Margarita High School and OC High School of the Arts, are hosting the event.
Each year, the girls from the junior class of the NCL select a charity to support through their annual fashion show. The teens of the NCL learn how to model and present a fashion show, luncheon, and silent auction for hundreds of guests.
National Charity League, Inc., Yorba Linda Chapter has supported local annual events for Crittenton, which is based in Fullerton, Calif. NCL is growing their partnership by helping to raise funds for Crittenton in honor of celebrating the organization’s 50th Anniversary in June of 2016. Crittenton is a non-profit 24/7 child welfare and social services agency in Southern California. For 50 years the organization has provided a residential treatment center for teenage girls who have been victims of various types of abuse and neglect. Crittenton also provides community based programming designed to help keep families together despite system involvement, provides mental health services to the children and families in their care, and also provides transitional youth services for foster youth aging out of the system.
NCL is proud to donate the proceeds from their fashion show to this wonderful organization.
RSVP for the luncheon event will be taken up to January 31, 2016. For those interested in sponsorship or would like to donate auction items phone calls or emails will gladly be taken up to the event date in February. To donate an auction item, provide sponsorship, or attend the event, contact Catherine Heyman at (714) 585-3224 or cheyman@ketchum.edu. For information about the Yorba Linda Chapter of the National Charity League, Inc., contact President, Kimberly Ostrowski at kimisue1029@yahoo.com.
About National Charity League, Inc.
National Charity League, Inc. is a mother-daughter service organization dedicated to building socially responsible women leaders through volunteerism and supporting local philanthropies. NCL chapters serve more than 3,000 philanthropies nationwide. NCL, Inc. is headquartered in Costa Mesa, CA. There are more than 175 chapters making a difference in 20 states. Each year, NCL members from coast to coast volunteer approximately one million hands-on hours in local communities. For more information, visit http://www.nationalcharityleague.org
[Next to the piece, the page also holds quantum chemistry results]
1.
ORCA calculation (ωB97M-V with the def2-TZVPD basis set) on an isolated ion of composition C5H12N2 and charge +1.

Atoms and positions in Å:
C 1.713 -0.456 -0.047
C 0.387 -0.796 0.721
C -0.789 -0.220 0.021
C -1.840 -1.007 -0.419
C -0.577 2.053 0.849
N -0.756 1.089 -0.316
N 1.710 -0.902 -1.446
H 1.867 0.627 -0.046
H 2.614 -0.920 0.351
H 0.253 -1.878 0.858
H 0.506 -0.627 1.804
H -1.885 -2.080 -0.494
H -2.790 -0.555 -0.687
H -1.084 1.670 1.725
H -0.942 3.023 0.537
H 0.503 2.172 0.946
H -1.470 1.385 -0.964
H 1.706 -1.919 -1.432
H 0.874 -0.657 -1.962

Values from the calculation:
- HOMO energy (alpha / beta) (Eh) = -0.4901 / -0.4893
- HOMO-LUMO gap (alpha / beta) (eV) = 9.34 / 5.69
- total charge = +1
- spin multiplicity = 2



2.
ORCA calculation (ωB97M-V with the def2-TZVPD basis set) on an isolated ion of composition C5H12N2 and charge +1.

Atoms and positions in Å:
C 2.807 -1.313 0.525
C 1.443 -1.689 1.328
C 0.348 -0.418 1.247
C -0.161 -0.003 -0.135
N -1.943 1.182 -2.170
C -1.943 1.607 -0.786
N -1.075 1.156 0.080
H 3.576 -0.822 1.117
H 2.588 -0.665 -0.357
H 3.320 -2.205 0.196
H 1.681 -1.880 2.371
H 0.868 -2.563 1.105
H -0.558 -0.767 1.846
H 0.706 0.434 1.811
H 0.680 0.171 -0.772
H -0.666 -0.908 -0.549
H -0.933 1.010 -2.424
H -2.441 0.305 -2.302
H -2.652 2.418 -0.492

Values from the calculation:
- HOMO energy (alpha / beta) (Eh) = -0.5477 / -0.5472
- HOMO-LUMO gap (alpha / beta) (eV) = 9.97 / 6.06
- total charge = +1
- spin multiplicity = 2



The least stable of them is 2.



1.
ORCA calculation (ωB97M-V with the def2-TZVPD basis set) on a 3-piece molecular cluster, C3H10NO4 overall.

Atoms and positions in Å:
O 3.001 -0.073 -0.317
C 1.793 -0.241 -0.472
N 0.856 -0.241 0.499
C 0.688 -0.102 2.219
O -0.519 -0.515 2.480
C 1.213 -0.379 -1.889
H -0.099 -0.094 0.199
H 0.771 0.995 2.291
H 1.517 -0.746 2.470
H 1.595 -1.360 -2.197
H 0.127 -0.376 -1.942
H 1.661 0.344 -2.570
H -2.256 1.041 -1.577
H -2.319 -0.373 -1.145
O -1.994 0.153 -1.878
H -1.572 0.077 1.693
H -2.208 1.412 1.146
O -2.255 0.476 0.988

Values from the calculation:
- HOMO energy (Eh) = -0.1698
- HOMO-LUMO gap (eV) = 8.33
- total charge = -1



2.
ORCA calculation (ωB97M-V with the def2-TZVPD basis set) on a 3-piece molecular cluster, C3H10NO4 overall.

Atoms and positions in Å:
C -1.165 -1.644 1.574
N -1.433 -0.313 1.118
C -1.530 -0.293 -0.194
C -0.086 -0.138 -1.177
O 0.226 1.153 -1.154
O -0.363 -0.627 -2.260
H -0.282 -2.051 1.081
H -0.936 -1.654 2.626
H -1.980 -2.361 1.387
H -1.958 -1.201 -0.525
H -2.113 0.545 -0.541
H 0.695 -0.700 -0.598
H 1.231 1.310 -0.911
H 3.042 2.152 -0.562
O 2.563 1.385 -0.266
H 1.567 0.827 1.329
H 0.101 0.188 1.594
O 0.991 0.225 1.911

Values from the calculation:
- HOMO energy (Eh) = -0.1684
- HOMO-LUMO gap (eV) = 6.54
- total charge = -1



3.
ORCA calculation (ωB97M-V with the def2-TZVPD basis set) on a 3-piece molecular cluster, C3H10NO4 overall.

Atoms and positions in Å:
C 1.371 -0.131 1.362
N 0.355 -1.085 0.779
C -0.198 -0.565 -0.525
C 1.010 0.061 -1.375
[End of the quantum chemistry results]
Topics: Non-Profit, Social Services, Community Based Services, Residential Treatment Services, Wraparound Family Services, Foster Care Program, Transitional Age Youth Services, Mental Health Services, Crittenton Services for Children and Families, Donations, Philanthropy, Crittenton Volunteer Program, Crittenton Fundraising
Geography: Orange County Calif., Fullerton, Calif., Anaheim, Calif., Yorba Linda, Calif.